Your job: duplicate the entries below with every line break kept.

'''
Calculated PXRD pattern of Pm2Nd3Er8 for Cu Kα (weighted mean of Kα1 and Kα2), from a crystal structure in Alexandria, relaxed with GGA-PBE.

Cell and atoms:
```
data_Pm2Nd3Er8
_chemical_formula_sum 'Pm2 Nd3 Er8'
_space_group_name_H-M_alt 'P -1'
_space_group_IT_number 2
_space_group_name_Hall '-P 1'
_cell_length_a 5.995
_cell_length_b 6.475
_cell_length_c 10.978
_cell_angle_alpha 90.05
_cell_angle_beta 90.04
_cell_angle_gamma 95.02
loop_
_atom_site_label
_atom_site_type_symbol
_atom_site_fract_x
_atom_site_fract_y
_atom_site_fract_z
Pm1 Pm 0.248 0.324 0.000
Nd1 Nd 0.000 0.000 0.500
Nd2 Nd 0.373 0.734 0.500
Er1 Er 0.233 0.353 0.302
Er2 Er 0.236 0.352 0.699
Er3 Er 0.248 0.852 0.173
Er4 Er 0.249 0.851 0.827
```

Principal peaks in the range 2θ = 15–90°, in order of rising 2θ:
| d (Å) | I_rel | h k l |
| --- | --- | --- |
| 3.183 | 51 | 0 1 3 |
| 2.986 | 50 | 2 0 0 |
| 2.948 | 29 | 1 -2 0 |
| 2.860 | 62 | -1 1 3 |
| 2.847 | 21 | 1 -2 1 |
| 2.760 | 100 | 1 1 -3 |
| 2.740 | 67 | 1 2 0 |
| 2.597 | 33 | 1 -2 2 |
| 1.631 | 21 | 3 2 0 |
| 1.524 | 26 | 2 3 -3 |

~~~~~

1.
The following is a theoretical powder XRD pattern of Er3ReO7. It was derived from a DFT-relaxed cell (PBE, Alexandria), using Cu Kα, 1.54184 Å.
Peak positions follow from Bragg's law for the DFT cell and can differ from measured ones.

Largest 6 diffraction maxima, most intense first, 2θ from 10° to 90°:
Position (°2θ)	intensity
29.32	100
29.69	100
49.20	55
34.13	49
58.61	41
57.96	23

Crystal structure
a b c (Å): 6.429 6.429 7.364
angles (deg): 90.00 90.00 108.65
Atoms (fractional coordinates):
1 Er 0.035 0.501 0.257
2 Er 0.036 0.036 0.000
3 Er 0.499 0.965 0.243
4 Er 0.501 0.035 0.743
5 Er 0.964 0.964 0.500
6 Er 0.965 0.499 0.757
7 Re 0.499 0.499 0.500
8 Re 0.501 0.501 0.000
9 O 0.131 0.869 0.750
10 O 0.138 0.862 0.250
11 O 0.172 0.417 0.976
12 O 0.189 0.447 0.538
13 O 0.417 0.172 0.024
14 O 0.426 0.574 0.250
15 O 0.447 0.189 0.462
16 O 0.553 0.811 0.962
17 O 0.574 0.426 0.750
18 O 0.583 0.828 0.524
19 O 0.811 0.553 0.038
20 O 0.828 0.583 0.476
21 O 0.862 0.138 0.750
22 O 0.869 0.131 0.250


2.
The following is a theoretical powder XRD pattern of Sr2ErRe3O12. It was derived from a DFT-relaxed cell (PBE, Alexandria), using Cu Kα, 1.54184 Å.
Peak positions follow from Bragg's law for the DFT cell and can differ from measured ones.

Largest 6 diffraction maxima, most intense first, 2θ from 10° to 90°:
Position (°2θ)	intensity
29.45	100
30.03	98
14.89	76
28.36	76
49.14	57
31.52	36

Crystal structure
a b c (Å): 6.793 6.793 6.793
angles (deg): 66.16 66.16 66.16
Atoms (fractional coordinates):
1 Sr 0.124 0.124 0.124
2 Sr 0.876 0.876 0.876
3 Er 0.500 0.500 0.500
4 Re 0.000 0.500 0.500
5 Re 0.500 0.000 0.500
6 Re 0.500 0.500 0.000
7 O 0.095 0.631 0.631
8 O 0.219 0.219 0.598
9 O 0.219 0.598 0.219
10 O 0.369 0.369 0.905
11 O 0.369 0.905 0.369
12 O 0.402 0.781 0.781
13 O 0.598 0.219 0.219
14 O 0.631 0.095 0.631
15 O 0.631 0.631 0.095
16 O 0.781 0.402 0.781
17 O 0.781 0.781 0.402
18 O 0.905 0.369 0.369


3.
The following is a theoretical powder XRD pattern of Er2Rh2O7. It was derived from a DFT-relaxed cell (PBE, Alexandria), using Cu Kα, 1.54184 Å.
Peak positions follow from Bragg's law for the DFT cell and can differ from measured ones.

Largest 6 diffraction maxima, most intense first, 2θ from 10° to 90°:
Position (°2θ)	intensity
30.46	100
50.80	47
60.40	42
35.31	33
82.76	17
85.41	14

Crystal structure
a b c (Å): 7.189 7.189 7.189
angles (deg): 60.00 60.00 60.00
Atoms (fractional coordinates):
1 Er 0.000 0.000 0.000
2 Er 0.000 0.000 0.500
3 Er 0.000 0.500 0.000
4 Er 0.500 0.000 0.000
5 Rh 0.000 0.500 0.500
6 Rh 0.500 0.000 0.500
7 Rh 0.500 0.500 0.000
8 Rh 0.500 0.500 0.500
9 O 0.125 0.125 0.125
10 O 0.162 0.162 0.588
11 O 0.162 0.588 0.162
12 O 0.162 0.588 0.588
13 O 0.412 0.412 0.838
14 O 0.412 0.838 0.412
15 O 0.412 0.838 0.838
16 O 0.588 0.162 0.162
17 O 0.588 0.162 0.588
18 O 0.588 0.588 0.162
19 O 0.838 0.412 0.412
20 O 0.838 0.412 0.838
21 O 0.838 0.838 0.412
'''

Calculated PXRD pattern of Pm2Nd3Er8 for Cu Kα (weighted mean of Kα1 and Kα2), from a crystal structure in Alexandria, relaxed with GGA-PBE.

Cell and atoms:
```
data_Pm2Nd3Er8
_chemical_formula_sum 'Pm2 Nd3 Er8'
_space_group_name_H-M_alt 'P -1'
_space_group_IT_number 2
_space_group_name_Hall '-P 1'
_cell_length_a 5.995
_cell_length_b 6.475
_cell_length_c 10.978
_cell_angle_alpha 90.05
_cell_angle_beta 90.04
_cell_angle_gamma 95.02
loop_
_atom_site_label
_atom_site_type_symbol
_atom_site_fract_x
_atom_site_fract_y
_atom_site_fract_z
Pm1 Pm 0.248 0.324 0.000
Nd1 Nd 0.000 0.000 0.500
Nd2 Nd 0.373 0.734 0.500
Er1 Er 0.233 0.353 0.302
Er2 Er 0.236 0.352 0.699
Er3 Er 0.248 0.852 0.173
Er4 Er 0.249 0.851 0.827
```

Principal peaks in the range 2θ = 15–90°, in order of rising 2θ:
| d (Å) | I_rel | h k l |
| --- | --- | --- |
| 3.183 | 51 | 0 1 3 |
| 2.986 | 50 | 2 0 0 |
| 2.948 | 29 | 1 -2 0 |
| 2.860 | 62 | -1 1 3 |
| 2.847 | 21 | 1 -2 1 |
| 2.760 | 100 | 1 1 -3 |
| 2.740 | 67 | 1 2 0 |
| 2.597 | 33 | 1 -2 2 |
| 1.631 | 21 | 3 2 0 |
| 1.524 | 26 | 2 3 -3 |

~~~~~

1.
The following is a theoretical powder XRD pattern of Er3ReO7. It was derived from a DFT-relaxed cell (PBE, Alexandria), using Cu Kα, 1.54184 Å.
Peak positions follow from Bragg's law for the DFT cell and can differ from measured ones.

Largest 6 diffraction maxima, most intense first, 2θ from 10° to 90°:
Position (°2θ)	intensity
29.32	100
29.69	100
49.20	55
34.13	49
58.61	41
57.96	23

Crystal structure
a b c (Å): 6.429 6.429 7.364
angles (deg): 90.00 90.00 108.65
Atoms (fractional coordinates):
1 Er 0.035 0.501 0.257
2 Er 0.036 0.036 0.000
3 Er 0.499 0.965 0.243
4 Er 0.501 0.035 0.743
5 Er 0.964 0.964 0.500
6 Er 0.965 0.499 0.757
7 Re 0.499 0.499 0.500
8 Re 0.501 0.501 0.000
9 O 0.131 0.869 0.750
10 O 0.138 0.862 0.250
11 O 0.172 0.417 0.976
12 O 0.189 0.447 0.538
13 O 0.417 0.172 0.024
14 O 0.426 0.574 0.250
15 O 0.447 0.189 0.462
16 O 0.553 0.811 0.962
17 O 0.574 0.426 0.750
18 O 0.583 0.828 0.524
19 O 0.811 0.553 0.038
20 O 0.828 0.583 0.476
21 O 0.862 0.138 0.750
22 O 0.869 0.131 0.250


2.
The following is a theoretical powder XRD pattern of Sr2ErRe3O12. It was derived from a DFT-relaxed cell (PBE, Alexandria), using Cu Kα, 1.54184 Å.
Peak positions follow from Bragg's law for the DFT cell and can differ from measured ones.

Largest 6 diffraction maxima, most intense first, 2θ from 10° to 90°:
Position (°2θ)	intensity
29.45	100
30.03	98
14.89	76
28.36	76
49.14	57
31.52	36

Crystal structure
a b c (Å): 6.793 6.793 6.793
angles (deg): 66.16 66.16 66.16
Atoms (fractional coordinates):
1 Sr 0.124 0.124 0.124
2 Sr 0.876 0.876 0.876
3 Er 0.500 0.500 0.500
4 Re 0.000 0.500 0.500
5 Re 0.500 0.000 0.500
6 Re 0.500 0.500 0.000
7 O 0.095 0.631 0.631
8 O 0.219 0.219 0.598
9 O 0.219 0.598 0.219
10 O 0.369 0.369 0.905
11 O 0.369 0.905 0.369
12 O 0.402 0.781 0.781
13 O 0.598 0.219 0.219
14 O 0.631 0.095 0.631
15 O 0.631 0.631 0.095
16 O 0.781 0.402 0.781
17 O 0.781 0.781 0.402
18 O 0.905 0.369 0.369


3.
The following is a theoretical powder XRD pattern of Er2Rh2O7. It was derived from a DFT-relaxed cell (PBE, Alexandria), using Cu Kα, 1.54184 Å.
Peak positions follow from Bragg's law for the DFT cell and can differ from measured ones.

Largest 6 diffraction maxima, most intense first, 2θ from 10° to 90°:
Position (°2θ)	intensity
30.46	100
50.80	47
60.40	42
35.31	33
82.76	17
85.41	14

Crystal structure
a b c (Å): 7.189 7.189 7.189
angles (deg): 60.00 60.00 60.00
Atoms (fractional coordinates):
1 Er 0.000 0.000 0.000
2 Er 0.000 0.000 0.500
3 Er 0.000 0.500 0.000
4 Er 0.500 0.000 0.000
5 Rh 0.000 0.500 0.500
6 Rh 0.500 0.000 0.500
7 Rh 0.500 0.500 0.000
8 Rh 0.500 0.500 0.500
9 O 0.125 0.125 0.125
10 O 0.162 0.162 0.588
11 O 0.162 0.588 0.162
12 O 0.162 0.588 0.588
13 O 0.412 0.412 0.838
14 O 0.412 0.838 0.412
15 O 0.412 0.838 0.838
16 O 0.588 0.162 0.162
17 O 0.588 0.162 0.588
18 O 0.588 0.588 0.162
19 O 0.838 0.412 0.412
20 O 0.838 0.412 0.838
21 O 0.838 0.838 0.412